== Exercise ==
Give back every line further below that contains the word "Level".

== Excerpt ==
........
Formula: C36H40BF3O3
Source: the Open Molecules 2025 dataset
Level of theory: ωB97M-V with the def2-TZVPD basis set

CARTESIAN COORDINATES (ANGSTROEM)
1 C -6.892 0.312 0.341
2 O -6.470 0.604 -1.009
3 C -5.148 0.525 -1.319
4 C -4.809 0.765 -2.677
5 C -3.488 0.832 -3.042
6 C -2.457 0.739 -2.074
7 C -1.106 1.092 -2.481
8 C -0.663 2.446 -2.347
9 C 0.493 2.928 -3.044
10 C 1.101 4.107 -2.659
11 C 0.595 4.865 -1.593
12 C 1.326 6.081 -1.107
13 C -0.633 4.503 -1.026
14 C -1.276 3.339 -1.405
15 C -2.801 0.405 -0.741
16 C -4.127 0.279 -0.366
17 H -7.975 0.421 0.319
18 H -6.621 -0.715 0.618
19 H -6.451 1.024 1.051
20 H -5.620 0.924 -3.383
21 H -3.219 1.036 -4.078
22 H -0.603 0.463 -3.227
23 H 0.884 2.336 -3.874
24 H 1.985 4.472 -3.191
25 H 0.838 6.491 -0.214
26 H 2.368 5.846 -0.851
27 H 1.350 6.863 -1.879
28 H -1.094 5.165 -0.285
29 H -2.243 3.080 -0.975
30 H -2.005 0.278 -0.006
31 H -4.386 0.039 0.670
32 C 3.604 0.777 1.749
33 C 2.217 0.172 1.891
34 C 1.878 -0.090 3.357
35 C 1.044 0.995 1.185
36 C 0.373 2.098 1.979
37 C 1.576 1.534 -0.129
38 O 0.056 -0.015 0.966
39 B 0.817 -1.216 0.743
40 C 0.281 -2.525 1.552
41 C 1.202 -3.414 2.104
42 C 0.795 -4.394 3.018
43 C -0.547 -4.482 3.364
44 C -0.972 -5.464 4.424
45 F -1.950 -4.944 5.224
46 F -1.471 -6.618 3.880
47 F 0.066 -5.827 5.235
48 C -1.493 -3.674 2.746
49 C -1.074 -2.686 1.844
50 C 0.624 -1.313 -1.209
51 C -0.364 -2.394 -1.479
52 C 2.025 -1.528 -1.642
53 C 2.603 -0.709 -2.632
54 C 3.950 -0.848 -2.970
55 C 4.738 -1.812 -2.329
56 C 4.154 -2.684 -1.402
57 C 2.807 -2.557 -1.080
58 O 2.184 -1.037 1.157
59 H 3.588 1.837 2.029
60 H 4.292 0.257 2.422
61 H 3.984 0.674 0.728
62 H 1.981 0.831 3.943
63 H 0.853 -0.467 3.471
64 H 2.571 -0.836 3.761
65 H 1.063 2.934 2.135
66 H -0.497 2.471 1.425
67 H 0.029 1.719 2.946
68 H 2.070 2.506 -0.011
69 H 2.284 0.843 -0.606
70 H 0.744 1.666 -0.815
71 H 2.268 -3.356 1.875
72 H 1.524 -5.064 3.457
73 H -2.547 -3.795 2.975
74 H -1.816 -2.032 1.382
75 H 0.268 -0.317 -1.471
76 H -1.362 -2.087 -1.142
77 H -0.445 -2.618 -2.558
78 H -0.071 -3.314 -0.953
79 H 1.972 0.038 -3.125
80 H 4.377 -0.192 -3.731
81 H 5.805 -1.875 -2.538
82 H 4.742 -3.469 -0.922
83 H 2.346 -3.246 -0.370

E_LUMO: -2.96 eV
Molecular weight: 588.5 g mol⁻¹
Spin multiplicity: 1
Gap between HOMO and LUMO: 3.7 eV
Net charge: 0

---

Formula: C36H40GeNO3PtS2
Source: the Open Molecules 2025 dataset
Level of theory: ωB97M-V with the def2-TZVPD basis set

CARTESIAN COORDINATES (ANGSTROEM)
1 Pt 0.389 0.302 -0.335
2 O 1.003 2.399 0.122
3 S 1.971 2.843 1.211
4 C 1.324 1.894 2.653
5 C 2.217 1.537 3.833
6 C 2.858 0.152 3.666
7 C 1.848 -0.988 3.852
8 S 1.415 -1.858 2.285
9 O 1.646 -0.803 1.201
10 C 2.783 -2.987 2.047
11 C 2.465 -4.086 1.256
12 C 3.471 -4.954 0.862
13 C 4.780 -4.715 1.256
14 C 5.082 -3.626 2.064
15 C 4.084 -2.754 2.468
16 C 3.584 2.193 0.726
17 C 4.672 2.147 1.588
18 C 5.903 1.736 1.103
19 C 6.068 1.466 -0.249
20 C 4.995 1.598 -1.117
21 C 3.743 1.944 -0.629
22 H 0.909 1.006 2.190
23 H 0.504 2.548 2.953
24 H 1.603 1.539 4.736
25 H 2.981 2.299 3.993
26 H 3.673 0.044 4.383
27 H 3.279 0.079 2.667
28 H 0.890 -0.618 4.223
29 H 2.192 -1.767 4.533
30 H 1.437 -4.256 0.956
31 H 3.233 -5.812 0.248
32 H 5.569 -5.382 0.936
33 H 6.100 -3.456 2.387
34 H 4.332 -1.915 3.103
35 H 4.581 2.459 2.619
36 H 6.742 1.651 1.782
37 H 7.043 1.187 -0.626
38 H 5.126 1.449 -2.181
39 H 2.913 2.065 -1.312
40 C -3.000 -0.931 4.117
41 N -2.564 0.000 3.073
42 C -2.960 1.406 3.120
43 C -1.828 -0.424 2.063
44 O -1.420 0.315 1.148
45 H -3.746 -0.448 4.738
46 H -2.167 -1.231 4.755
47 H -3.446 -1.823 3.678
48 H -3.757 1.536 3.845
49 H -3.309 1.724 2.140
50 H -2.118 2.040 3.401
51 H -1.611 -1.500 2.080
52 C 3.155 -1.741 -1.688
53 Ge 1.421 -0.914 -2.119
54 C 1.808 0.578 -3.379
55 C 2.803 0.428 -4.335
56 C 3.177 1.516 -5.116
57 C 2.567 2.750 -4.937
58 C 1.565 2.902 -3.990
59 C 1.181 1.814 -3.219
60 C 0.334 -2.265 -3.044
61 C 0.883 -3.533 -3.134
62 C 0.283 -4.521 -3.921
63 C -0.881 -4.244 -4.598
64 C -1.496 -2.976 -4.504
........

== Worked solution ==
Level of theory: ωB97M-V with the def2-TZVPD basis set
Level of theory: ωB97M-V with the def2-TZVPD basis set